== File ==
/*
Record 1
C5H10O2 | ωB97M-V/def2-TZVPD

SMILES ... CC(C)CC(=O)O
HOMO energy ... -0.3705 Eh
F_max ... 5.327 eV/A
Spin multiplicity ... 1
Relative energy (zero: lowest compared OMol25 entry of this formula, charge and spin) ... 42.5 kcal per mole

Each line ends with the Löwdin charge.
Geometry (Å):
C 1.42727 -0.19131 -0.79225  -0.069
C 0.26804 -0.50637 0.10254  -0.394
C -0.18728 -2.02443 -0.03912  -0.047
C -1.02327 0.36512 -0.05572  -0.058
C -0.61065 1.81582 0.40069  -0.476
O -0.13405 2.70095 -0.28266  0.071
O -0.67141 2.06956 1.76437  0.044
H 1.70869 -1.13836 -1.26307  0.068
H 0.91719 0.18757 -1.78556  0.124
H 2.06461 0.57599 -0.44233  0.067
H 0.63494 -0.38967 1.06170  0.100
H -1.19518 -2.03548 0.00030  0.014
H 0.12777 -2.56730 -1.01650  0.108
H 0.21610 -2.64565 0.74074  0.066
H -1.87799 0.25856 0.61807  0.118
H -1.37569 0.59150 -1.07339  0.129
H -0.28910 2.93350 2.06219  0.135

Record 2
C5H10O2 | ωB97M-V/def2-TZVPD

SMILES ... COC[C@H]1C[C@H]1O
HOMO energy ... -0.3447 Eh
F_max ... 0.361 eV/A
Spin multiplicity ... 1
Relative energy (zero: lowest compared OMol25 entry of this formula, charge and spin) ... 60.9 kcal per mole

Each line ends with the Löwdin charge.
Geometry (Å):
C -0.91711 1.92194 0.62424  -0.112
O 0.12271 1.05264 1.01877  -0.207
C -0.31533 -0.29268 1.10116  -0.197
C -0.33537 -1.01046 -0.24541  -0.194
C 0.26494 -0.33592 -1.47099  -0.057
C 1.01260 -1.41999 -0.76819  -0.335
O 2.14190 -1.14010 0.00207  -0.005
H -1.47166 1.54209 -0.24812  0.093
H -0.46134 2.87922 0.36489  0.091
H -1.62318 2.07632 1.45354  0.091
H 0.39984 -0.79575 1.76119  0.128
H -1.30242 -0.33785 1.58048  0.123
H -1.17834 -1.67571 -0.41868  0.133
H -0.17452 -0.54384 -2.44660  0.107
H 0.63042 0.67923 -1.33422  0.108
H 1.12235 -2.37886 -1.26408  0.145
H 2.08451 -0.22027 0.28996  0.088

Record 3
C5H10O2 | ωB97M-V/def2-TZVPD

SMILES ... CO/C=C/COC
HOMO energy ... -0.3269 Eh
F_max ... 0.360 eV/A
Spin multiplicity ... 1
Relative energy (zero: lowest compared OMol25 entry of this formula, charge and spin) ... 60.6 kcal per mole

Each line ends with the Löwdin charge.
Geometry (Å):
C -3.14934 0.25691 -0.75449  -0.092
O -2.53849 1.06616 0.23051  -0.120
C -1.24771 0.80732 0.52856  -0.162
C -0.40595 -0.02394 -0.09036  -0.068
C 0.94246 -0.32897 0.47461  -0.263
O 1.96052 0.10395 -0.40075  -0.184
C 3.22369 -0.31218 0.04396  -0.132
H -2.93755 0.62774 -1.76492  0.098
H -2.80394 -0.78029 -0.67366  0.086
H -4.22371 0.29523 -0.56337  0.091
H -0.95036 1.37425 1.40917  0.131
H -0.68384 -0.54331 -1.00300  0.105
H 1.06252 0.14049 1.46735  0.123
H 1.03603 -1.41992 0.62674  0.123
H 3.45508 0.08414 1.04629  0.088
H 3.96424 0.06390 -0.66519  0.088
H 3.29635 -1.41148 0.08855  0.087

Record 4
C5H10O2 | ωB97M-V/def2-TZVPD

HOMO energy ... -0.3270 Eh
F_max ... 0.584 eV/A
Spin multiplicity ... 1
Relative energy (zero: lowest compared OMol25 entry of this formula, charge and spin) ... 101.3 kcal per mole

Each line ends with the Löwdin charge.
Geometry (Å):
C -2.12736 -0.49697 0.23557  -0.048
C -1.96088 0.98724 0.08823  -0.298
O -1.03400 1.62720 0.53188  -0.011
C 1.19377 -1.68651 -0.29236  -0.163
C 1.86050 -0.58156 -0.62834  -0.047
C 1.70588 -0.16123 0.81031  -0.157
O 0.98927 -1.42265 1.04825  -0.099
H -3.10093 -0.71562 0.69089  0.083
H -2.13437 -0.95560 -0.76153  0.087
H -1.31404 -0.91874 0.83195  0.065
H -2.76579 1.50400 -0.47680  0.117
H 0.74809 2.54333 -0.83914  0.016
H 0.82017 -2.60368 -0.73617  0.117
H 2.31269 -0.16428 -1.51459  0.086
H 1.29300 2.68628 -1.32633  0.041
H 1.04303 0.68366 1.01203  0.088
H 2.61213 -0.12902 1.42116  0.122

Record 5
C5H10O2 | ωB97M-V/def2-TZVPD

SMILES ... C[C@@]1(CCO)CO1
HOMO energy ... -0.3672 Eh
F_max ... 0.419 eV/A
Spin multiplicity ... 1
Relative energy (zero: lowest compared OMol25 entry of this formula, charge and spin) ... 48.6 kcal per mole

Each line ends with the Löwdin charge.
Geometry (Å):
C -1.32888 -1.34282 0.36181  -0.011
C -0.60866 -0.11839 -0.14943  -0.479
C 0.84418 -0.30632 -0.58460  -0.105
C 1.86867 0.19598 0.43686  -0.262
*/

== Wanted ==
Your job: start at the top of the contents further above and write out each line, ending with the one that has "1.04629".

== Solution ==
Record 1
C5H10O2 | ωB97M-V/def2-TZVPD

SMILES ... CC(C)CC(=O)O
HOMO energy ... -0.3705 Eh
F_max ... 5.327 eV/A
Spin multiplicity ... 1
Relative energy (zero: lowest compared OMol25 entry of this formula, charge and spin) ... 42.5 kcal per mole

Each line ends with the Löwdin charge.
Geometry (Å):
C 1.42727 -0.19131 -0.79225  -0.069
C 0.26804 -0.50637 0.10254  -0.394
C -0.18728 -2.02443 -0.03912  -0.047
C -1.02327 0.36512 -0.05572  -0.058
C -0.61065 1.81582 0.40069  -0.476
O -0.13405 2.70095 -0.28266  0.071
O -0.67141 2.06956 1.76437  0.044
H 1.70869 -1.13836 -1.26307  0.068
H 0.91719 0.18757 -1.78556  0.124
H 2.06461 0.57599 -0.44233  0.067
H 0.63494 -0.38967 1.06170  0.100
H -1.19518 -2.03548 0.00030  0.014
H 0.12777 -2.56730 -1.01650  0.108
H 0.21610 -2.64565 0.74074  0.066
H -1.87799 0.25856 0.61807  0.118
H -1.37569 0.59150 -1.07339  0.129
H -0.28910 2.93350 2.06219  0.135

Record 2
C5H10O2 | ωB97M-V/def2-TZVPD

SMILES ... COC[C@H]1C[C@H]1O
HOMO energy ... -0.3447 Eh
F_max ... 0.361 eV/A
Spin multiplicity ... 1
Relative energy (zero: lowest compared OMol25 entry of this formula, charge and spin) ... 60.9 kcal per mole

Each line ends with the Löwdin charge.
Geometry (Å):
C -0.91711 1.92194 0.62424  -0.112
O 0.12271 1.05264 1.01877  -0.207
C -0.31533 -0.29268 1.10116  -0.197
C -0.33537 -1.01046 -0.24541  -0.194
C 0.26494 -0.33592 -1.47099  -0.057
C 1.01260 -1.41999 -0.76819  -0.335
O 2.14190 -1.14010 0.00207  -0.005
H -1.47166 1.54209 -0.24812  0.093
H -0.46134 2.87922 0.36489  0.091
H -1.62318 2.07632 1.45354  0.091
H 0.39984 -0.79575 1.76119  0.128
H -1.30242 -0.33785 1.58048  0.123
H -1.17834 -1.67571 -0.41868  0.133
H -0.17452 -0.54384 -2.44660  0.107
H 0.63042 0.67923 -1.33422  0.108
H 1.12235 -2.37886 -1.26408  0.145
H 2.08451 -0.22027 0.28996  0.088

Record 3
C5H10O2 | ωB97M-V/def2-TZVPD

SMILES ... CO/C=C/COC
HOMO energy ... -0.3269 Eh
F_max ... 0.360 eV/A
Spin multiplicity ... 1
Relative energy (zero: lowest compared OMol25 entry of this formula, charge and spin) ... 60.6 kcal per mole

Each line ends with the Löwdin charge.
Geometry (Å):
C -3.14934 0.25691 -0.75449  -0.092
O -2.53849 1.06616 0.23051  -0.120
C -1.24771 0.80732 0.52856  -0.162
C -0.40595 -0.02394 -0.09036  -0.068
C 0.94246 -0.32897 0.47461  -0.263
O 1.96052 0.10395 -0.40075  -0.184
C 3.22369 -0.31218 0.04396  -0.132
H -2.93755 0.62774 -1.76492  0.098
H -2.80394 -0.78029 -0.67366  0.086
H -4.22371 0.29523 -0.56337  0.091
H -0.95036 1.37425 1.40917  0.131
H -0.68384 -0.54331 -1.00300  0.105
H 1.06252 0.14049 1.46735  0.123
H 1.03603 -1.41992 0.62674  0.123
H 3.45508 0.08414 1.04629  0.088